• Les voix des fleuves Crossing the water

    17th Lyon Biennale – Les Grandes Locos

    Les Grandes Locos

[Next to the page, the page also holds records of crystals]
The following is a calculated X-ray diffraction stick pattern of Mn2CrTe6. It was derived from a PBE-relaxed structure, using Cu Kα, 1.54184 Å.

Structure:
Unit cell a=6.6908 b=6.6908 c=6.1952 alpha=90.00 beta=90.00 gamma=120.00
Space group P-31m (No. 162)
Inequivalent atoms, fractional coordinates:
Mn 0.3333 0.6667 0.0000
Cr 0.0000 0.0000 0.0000
Te 0.0000 0.3352 0.2449

Most intense lines, 10 to 80 degrees two-theta, low angle first:
| Position (°2θ) | I/Imax | (hkl) |
| --- | --- | --- |
| 28.82 | 14 | 0 0 2 |
| 30.36 | 100 | 2 -1 1 |
| 39.65 | 32 | 2 -1 2 |
| 47.05 | 28 | 3 0 0 |
| 52.04 | 22 | 1 1 3 |
| 56.12 | 14 | 3 0 2 |
| 57.03 | 16 | 2 2 1 |
| 76.96 | 14 | 5 -1 1 |

    Now repurposed as a cultural venue, Grandes Locos are hosting the 17th Lyon Biennale, where the site’s history will resonate in the artists’ works, which speak of travel and movement, repair and care, collective strength, and protest.

• Misplaced materials data:
********
Record 1
Structure and calculated XRD peak list of LiGa3Te5 (DFT lattice parameters and positions (GGA-PBE); Cu Kα (weighted mean of Kα1 and Kα2)).
No peak broadening, texture or thermal motion is included.

Structure:
Cell lengths 14.6915, 14.6915, 17.9746 Å; angles 90.00, 90.00, 120.00 degrees
Space group R3 (No. 146, hexagonal axes)
Inequivalent atoms, fractional coordinates:
Li 0.0000 0.0000 0.0000 x3
Li 0.0033 0.7356 0.4462 x9
Ga 0.0011 0.4137 0.6926 x9
Ga 0.0792 0.1914 0.2087 x9
Ga 0.0823 0.3347 0.5305 x9
Ga 0.1913 0.0800 0.6840 x9
Te 0.0000 0.0000 0.2737 x3
Te 0.0000 0.0000 0.6179 x3
Te 0.0000 0.5845 0.9454 x9
Te 0.0349 0.4650 0.3429 x9
Te 0.0581 0.8605 0.0681 x9
Te 0.1312 0.3674 0.8807 x9
Te 0.1671 0.4984 0.1122 x9
Te 0.1952 0.7246 0.4906 x9

Principal peaks in the range 5° ≤ 2θ ≤ 70°, by angle:
| two_theta | I/Imax | (hkl) |
| --- | --- | --- |
| 12.05 | 20 | 1 1 0 |
| 25.74 | 100 | 1 3 1 |
| 27.16 | 37 | 2 1 4 |
| 28.50 | 41 | 4 0 1 |
| 32.26 | 23 | 2 -1 6 |
| 36.72 | 13 | 3 0 6 |
| 38.77 | 14 | 4 2 2 |
| 43.59 | 8 | 1 3 7 |
| 44.48 | 55 | 5 2 0 |
| 47.12 | 39 | 7 -6 1 |
| 47.99 | 16 | 4 -1 8 |
| 52.90 | 9 | 0 6 6 |

***

Record 2
Structure and calculated XRD peak list of LiGaTe2 (DFT lattice parameters and positions (GGA-PBE); Cu Kα (weighted mean of Kα1 and Kα2)).
No peak broadening, texture or thermal motion is included.

Structure:
Cell lengths 6.4085, 6.4085, 12.0092 Å; angles 90.00, 90.00, 90.00 degrees
Space group I-42d (No. 122)
Inequivalent atoms, fractional coordinates:
Li 0.0000 0.0000 0.0000 x4
Ga 0.0000 0.0000 0.5000 x4
Te 0.2353 0.7500 0.6250 x8

Principal peaks in the range 5° ≤ 2θ ≤ 70°, by angle:
| two_theta | I/Imax | (hkl) |
| --- | --- | --- |
| 15.67 | 15 | 1 0 1 |
| 24.61 | 100 | 1 1 2 |
| 27.84 | 15 | 2 0 0 |
| 29.76 | 7 | 0 0 4 |
| 39.78 | 22 | 2 2 0 |
| 41.20 | 40 | 2 0 4 |
| 47.34 | 33 | 3 1 2 |
| 49.80 | 15 | 1 1 6 |
| 50.46 | 6 | 2 2 4 |
| 57.53 | 7 | 4 0 0 |
| 63.51 | 6 | 3 3 2 |
| 65.55 | 12 | 3 1 6 |

***

Record 3
Structure and calculated XRD peak list of LiTm2Ga (DFT lattice parameters and positions (GGA-PBE); Cu Kα (weighted mean of Kα1 and Kα2)).
No peak broadening, texture or thermal motion is included.

Structure:
Cell lengths 7.1079, 7.1079, 7.1079 Å; angles 90.00, 90.00, 90.00 degrees
Space group Fm-3m (No. 225)
Inequivalent atoms, fractional coordinates:
Li 0.0000 0.0000 0.0000 x4
Tm 0.2500 0.2500 0.2500 x8
Ga 0.0000 0.0000 0.5000 x4

Principal peaks in the range 5° ≤ 2θ ≤ 70°, by angle:
| two_theta | I/Imax | (hkl) |
| --- | --- | --- |
| 21.66 | 7 | 1 1 1 |
| 25.06 | 48 | 2 0 0 |
| 35.73 | 100 | 2 2 0 |
| 42.17 | 3 | 3 1 1 |
| 44.14 | 14 | 2 2 2 |
| 51.42 | 18 | 4 0 0 |
| 56.43 | 1 | 3 3 1 |
| 58.03 | 19 | 4 2 0 |
| 64.19 | 36 | 4 2 2 |
| 68.61 | 1 | 5 1 1 |

***

Record 4
Structure and calculated XRD peak list of LiYGa4 (DFT lattice parameters and positions (GGA-PBE); Cu Kα (weighted mean of Kα1 and Kα2)).
No peak broadening, texture or thermal motion is included.

Structure:
********
• So much for the materials data:

  • Museum of Contemporary Art of Lyon (macLyon)

    The artworks gathered at macLYON create a sentimental mood and outline a map of romantic, friendly, or familial relationships, along with their rituals...

  • La Cité Internationale de la Gastronomie de Lyon – Grand Hôtel-Dieu

    Welcomed in the exhibition spaces of the Cité Internationale de la Gastronomie, located at the heart of the Hôtel-Dieu, a heritage site once dedicated to hospitality and care, built in the 15th century and rebuilt according to the plans of Jacques-Germain Soufflot during the 18th century, the artists have conceived works that reflect care and attention to others. They evoke rituals that are sometimes remembered, invented, syncretic, and cross-cultural: rites of healing, incantation, and passage.

    • Les voix des fleuves Crossing the water

    17th Lyon Biennale – Fondation Bullukian

    Fondation Bullukian

Data records, kept here for reference
<<<
Entry 1:
Starting from a structure optimized by DFT (PBE), the X-ray diffraction stick pattern of Ca2ScP3Pt7 was calculated for Cu Kα, 1.54184 Å.
Peak positions follow from Bragg's law for the DFT cell and can differ from measured ones.

Principal peaks in the range 10 to 90 degrees two-theta, by angle:
(hkl)  2θ (°)  I_rel
1 0 1  22.1  16
1 0 5  27.3  27
1 1 2  31.8  38
1 1 4  33.8  23
1 1 6  37.0  100
1 1 8  41.1  23
2 0 0  44.5  50
2 2 0  64.7  16
2 0 14  66.5  19
3 1 6  77.0  21

Structure:
abc: 4.073 4.073 27.217
angles: 90.00 90.00 90.00
Space group I-4m2 (No. 119)
Inequivalent atoms, fractional coordinates:
Ca 0.000 0.000 0.167
Sc 0.000 0.000 0.000
P 0.000 0.000 0.377
P 0.000 0.500 0.250
Pt 0.000 0.000 0.292
Pt 0.000 0.000 0.500
Pt 0.000 0.500 0.074
Pt 0.000 0.500 0.575

=====

Entry 2:
Starting from a structure optimized by DFT (PBE), the X-ray diffraction stick pattern of CaSn2P2Pt7 was calculated for Cu Kα, 1.54184 Å.
Peak positions follow from Bragg's law for the DFT cell and can differ from measured ones.

Principal peaks in the range 10 to 90 degrees two-theta, by angle:
(hkl)  2θ (°)  I_rel
0 0 4  23.7  38
0 0 5  29.7  23
2 0 -2  32.7  60
2 0 -3  34.4  38
2 0 2  37.0  100
2 0 4  44.4  32
2 2 -1  46.1  63
2 0 -7  48.9  27
2 0 9  71.3  23
4 2 1  79.4  22

Structure:
abc: 5.566 5.562 15.282
angles: 90.00 100.42 90.00
Space group C2/m (No. 12)
Inequivalent atoms, fractional coordinates:
Ca 0.000 0.000 0.000
Sn 0.212 0.000 0.425
P 0.117 0.500 0.235
Pt 0.000 0.500 0.000
Pt 0.175 0.250 0.850
Pt 0.194 0.500 0.389

=====

Entry 3:
Starting from a structure optimized by DFT (PBE), the X-ray diffraction stick pattern of Ca2ZnP3Pt12 was calculated for Cu Kα, 1.54184 Å.
Peak positions follow from Bragg's law for the DFT cell and can differ from measured ones.

Principal peaks in the range 10 to 90 degrees two-theta, by angle:
(hkl)  2θ (°)  I_rel
1 1 0  21.5  22
1 0 4  23.7  21
0 2 4  32.2  100
2 1 4  39.1  17
2 2 0  43.9  55
2 0 8  48.4  37
4 0 4  55.5  18
0 4 8  67.4  14
2 4 4  73.3  14
4 2 8  84.0  12

Structure:
abc: 8.2513 8.2513 17.6913
angles: 90.00 90.00 120.00
Space group R-3m (No. 166, hexagonal axes)
Inequivalent atoms, fractional coordinates:
Ca 0.0000 0.0000 0.1080
Zn 0.0000 0.0000 0.5000
P 0.0000 0.5000 0.0000
Pt 0.0013 0.5006 0.1272
Pt 0.0372 0.5186 0.3621

=====

Entry 4:
Starting from a structure optimized by DFT (PBE), the X-ray diffraction stick pattern of Ca5PuP4 was calculated for Cu Kα, 1.54184 Å.
Peak positions follow from Bragg's law for the DFT cell and can differ from measured ones.

Principal peaks in the range 10 to 90 degrees two-theta, by angle:
(hkl)  2θ (°)  I_rel
2 0 0  10.6  60
0 0 1  12.6  100
4 0 0  21.2  27
1 1 -1  23.7  28
0 0 2  25.4  25
3 1 0  26.2  46
6 0 -2  31.5  27
3 1 -2  31.6  96
6 0 0  32.1  57
3 1 2  41.4  54

Structure:
abc: 18.429 4.284 7.741
angles: 90.00 114.80 90.00
Space group C2/m (No. 12)
Inequivalent atoms, fractional coordinates:
Ca 0.000 0.000 0.000
Ca 0.166 0.500 0.435
>>>

    Located in the city centre of Lyon, the Bullukian Foundation has its own contemporary art gallery, offering a programme of temporary exhibitions, meetings and outreach activities.

  • IAC - Institut d'art contemporain, Villeurbanne/Rhône-Alpes

    Ten emerging artists–five each from the regional and international scenes–have been invited to imagine a project for the 17th Lyon Biennale.

    • Les voix des fleuves Crossing the water

    17th Lyon Biennale – Jardin du musée des Beaux-Arts

    Jardin du Musée des Beaux-Arts

    Showcased as part of the 17th Lyon Biennale, the pieces by two artists resonate with both the history and the sculptures of the garden...

  • Musée gallo-romain de Saint-Romain-en-Gal – Département du Rhône

    As part of the 17th Lyon Biennale, paintings, drawings, photographs and sculptures by three artists are displayed alongside objects and fragments from excavations and modern models and reconstructions.

    • Les voix des fleuves Crossing the water

    17th Lyon Biennale – Parking LPA Saint-Antoine

    Parking LPA Saint Antoine

    On the banks of the Saône, at the water’s edge, LPA SaintAntoine is an extension of the 17th edition of the Biennale de Lyon, a place to hear the “voices of the rivers”

    • Les voix des fleuves Crossing the water

    17th Lyon Biennale – Station métro B – Gare Part-Dieu

    Station métro B – Gare Part-Dieu

    A place of brief encounters, sad farewells, joyful reunions, social resistance and humdrum routines, Gare Part-Dieu metro station is one of the exhibition sites for the 17th Lyon Biennale, which explores the diversity of human relationships.